Fielding constraints, web frameworks
in a recent
IRC convo on the #REST channel i ended up spilling out an overview of
Fielding's constraint list as it relates to common Web frameworks and development
practices. i've been playing w/ this material for quite a while (close to a
year, based on some of my notes) and didn't really give much thought to posting
it on the channel. turns out i got a handful of positive reactions to the
summary and i figured i'd blog it here in order to give a bit wider exposure.
Fielding constraints
Starting from a structure optimized by DFT (GGA-PBE), the powder diffraction line list of K2AlAgCl6 was computed for Cu Ka.

Main lines, by angle (2θ from 10° to 90°):
d [Å], 2theta, intensity
6.077, 14.58, 100
4.522, 19.63, 35
3.509, 25.39, 26
2.772, 32.30, 93
2.260, 39.89, 70
1.754, 52.14, 25

Atomic structure:
a b c (Å): 7.0170 7.0170 6.7680
angles (deg): 90.00 90.00 120.00
Sites, in units of the cell vectors:
K1 0.3333 0.6667 0.1665
K2 0.6667 0.3333 0.8335
Al1 0.0000 0.0000 0.0000
Ag1 0.0000 0.0000 0.5000
Cl1 0.1574 0.3148 0.7970
Cl2 0.1574 0.8426 0.7970
Cl3 0.3148 0.1574 0.2030
Cl4 0.6852 0.8426 0.7970
Cl5 0.8426 0.1574 0.2030
Cl6 0.8426 0.6852 0.2030

Starting from a structure optimized by DFT (GGA-PBE), the powder diffraction line list of Nd7Al2Ge2 was computed for Cu Ka.

Main lines, by angle (2θ from 10° to 90°):
d [Å], 2theta, intensity
3.573, 24.92, 30
3.302, 27.00, 100
3.208, 27.81, 47
2.798, 31.98, 61
2.492, 36.04, 44
2.455, 36.61, 87

Atomic structure:
a b c (Å): 6.9316 6.9316 7.3390
angles (deg): 90.00 90.00 107.68
Sites, in units of the cell vectors:
Nd1 0.0000 0.0000 0.0000
Nd2 0.0000 0.5000 0.2815
Nd3 0.0000 0.5000 0.7185
Nd4 0.5000 0.0000 0.2815
Nd5 0.5000 0.0000 0.7185
Nd6 0.5000 0.5000 0.2597
Nd7 0.5000 0.5000 0.7403
Al1 0.1625 0.1625 0.5000
Al2 0.8375 0.8375 0.5000
Ge1 0.2842 0.7158 0.0000
Ge2 0.7158 0.2842 0.0000

Starting from a structure optimized by DFT (GGA-PBE), the powder diffraction line list of Si6NiMo9 was computed for Cu Ka.

Main lines, by angle (2θ from 10° to 90°):
d [Å], 2theta, intensity
3.238, 27.55, 36
2.342, 38.43, 84
2.146, 42.11, 57
2.105, 42.97, 100
1.995, 45.47, 54
1.342, 70.09, 42

Atomic structure:
a b c (Å): 7.2204 7.2204 7.2204
angles (deg): 96.70 96.70 140.05
Sites, in units of the cell vectors:
Si1 0.0000 0.5000 0.5000
Si2 0.0676 0.0676 0.6787
Si3 0.3889 0.3889 0.3213
Si4 0.5000 0.0000 0.5000
Si5 0.6111 0.9324 0.0000
Si6 0.9324 0.6111 0.0000
Ni1 0.0000 0.0000 0.0000
Mo1 0.0245 0.8267 0.3532
Mo2 0.1733 0.5265 0.1978
Mo3 0.3287 0.9755 0.8022
Mo4 0.4735 0.6713 0.6468
Mo5 0.5000 0.5000 0.0000
Mo6 0.5265 0.1733 0.1978
Mo7 0.6713 0.4735 0.6468
Mo8 0.8267 0.0245 0.3532
Mo9 0.9755 0.3287 0.8022

Q: Which formula does entry 2 have?
A: Nd7Al2Ge2


(1)
Calculated XRD peak list of ThZr2Sn for a wavelength of 1.5418 Å, from a structure optimized by DFT (GGA-PBE).

Structural model:
```
data_ThZr2Sn
_chemical_formula_sum 'Th4 Zr8 Sn4'
_cell_length_a 4.3991
_cell_length_b 22.0528
_cell_length_c 4.4054
_cell_angle_alpha 90.00
_cell_angle_beta 90.00
_cell_angle_gamma 90.00
_space_group_name_H-M_alt 'C m c m'
_space_group_IT_number 63
_space_group_name_Hall '-C 2c 2'
loop_
_atom_site_label
_atom_site_type_symbol
_atom_site_fract_x
_atom_site_fract_y
_atom_site_fract_z
Th1 Th 0.0000 0.1958 0.2500
Zr1 Zr 0.0000 0.0520 0.7500
Zr2 Zr 0.0000 0.4482 0.7500
Sn1 Sn 0.0000 0.3461 0.2500
```

The 8 most intense peaks (2θ = 10–90°), by angle:
2theta  I/Imax
28.97  92
31.20  72
31.70  38
32.48  34
35.29  100
40.97  43
# So much for the calculated crystals
lately, i've been referring to the defintion of the REST style as "Fielding Constraints." i do this to replace the overloaded term 'REST' with something more specific and direct. not only does this cause listeners to 'perk up' when i say it ("um, WTH did he just say?") but it does a pretty god job of 'short circuiting' the 'meme-brain' and avoids bumping up against the mixed meanings and assumptions many in my audience carry with them when they process the word 'REST.'
so, for the rest of this blog post, i'll be talking about "Fielding Constraints."
Web Frameworks
because of the kind of work i do right now (helping companies design, implement, and maintain APIs for the Web), i get to see a wide variety of programming languages, development environments, and Web frameworks. most of the stuff i see is dang cool. some of the things i encounter, however, are a bit clunky; frameworks that make it 'hard' to 'do the right thing' when it comes to creating solid, scalable, maintainable solutions for HTTP.
sometimes things can 'get better' by just ignoring some aspects of the Web framework in use. sometimes folks need to change habits when designing and implementing solutions. occasionally, i encourage folks to just plain stop using a tool or framework and migrate to others that make things easier in the long run. in all those cases, my usual measure is whether a particular "Fielding Constraint" is important to the implementation and whether the framework makes supporting that constraint easy or not.
so, with that in mind, let's go through the list of "Fielding Constraints" and see where most Web frameworks fall in supporting them.
primary constraints
First, when crafting his REST style, Fielding selected six primary constraints that should be adhered to in order to elicit the Architectural Properties of Key Interest and one of them (Code On Demand) is optional; that leaves five.
if the five remaining primary constraints, three of them (Client-Server, Cache, and Layered System) are mostly beyond the bounds of a typical dev environment. it's true that dev tools can do some things to make supporting caching (both marking and validating requests) easier, but for the most part, this can be handled outside the direct dev space using Squid and other similar stand-alone tools.
that leaves only two other primary constraints: Stateless and Uniform Interface. supporting the Stateless constraint is easy, but is rarely "ON" by default in most Web frameworks. all that is needed is to turn "OFF" support for "session state" on the server and almost all frameworks support this switch.
so there is only one constraint left (Uniform Interface) and that's the one most all Web frameworks focus upon. that makes sense since this constraint depends heavily on the details of implementation. it also turns out to be the most interesting constraint in Fielding's list. so interesting, Fielding added four additional 'sub-constraints' to the Uniform Interface in order to better describe and define it.
uniform interface sub-constraints
The Uniform Interface constraint is made up of four 'sub-constraints' and they are:
- identification of resources
- manipulation of resources through representations
- self-descriptive messages
- hypermedia as the engine of application state
from the above list, most Web frameworks devote a great deal of time to #1 (identification of resources) and almost no time to #4 (hypermedia as the engine of application state). in HTTP #1 is expressed via URIs. Web frameworks fall all over themselves trying to automate the generation and parsing of URIs; often to their detriment. instead of providing a clear, powerful abstraction of identifiers for mapping to private components, most frameworks create restrictive rules that couple internal classes or functions directly to public URIs such that even minor changes in the structure of the source code can result in breaking existing public URIs and/or forcing both clients and servers to adhere to an overly-constrained interface that essentially negates the "uniform" aspect of Fielding's model and creates "snowflake" API designs that reduce re-usability and limit evolvability.
HTTP supports #2 (manipulation of resources through representations) through the
use of
negotiated media types
at runtime. IOW, clients and servers have the
ability in HTTP to choose the format in which server data will be represented.
This is unlike FTP, DNS, IRC, and other layer 7 protocols that pre-define the
allowed formats for exchanging messages.
while most frameworks today support some level of representation abstraction, many
do it in rather odd ways (i.e. adding query string arguments such as format=xml
instead of using the existing Accept
and Content-Type
also, only a few frameworks "build in" support for
handling content-negotiation at runtime. instead, devs are often required to declare
special URIs (or URI construction rules) for each representation format of the same resource.
this can lead to URI explosion and maintainability problems both at run time
(cache invalidation) and at design time (code maintainence).
the support for self-descriptive messages (#3) deals with the ability of user agents (clients) and intermediaries (proxies) to succesfully 'replay' a stored message w/o the need to contact the origin server first. basically, this is where HTTP headers (metadata) and the payload come together to form a complete message that can "stand alone" over time. this ties directly to supporting two of Fielding's primary constraints (Caching and Layered System) and happens w/o much fanfare in most Web frameworks. there are times when design decisions by devs and architects can impinge on this constraint (usually in cases where payload information 'leaks' into metadata collections or vice-versa), but most of the time implementation details don't wander into this space often.
that leaves only one more sub-constraint: the crazy cousin no-one wants to talk about at family gatherings...
proly the most mis-understood and ignored of Fielding Constraints, it turns out hypermedia as the engine of application state is the most unique and powerful of them all. it doesn't help that there is precious little information about hypermedia within Fielding's dissertation; the one line included in this blog post is all that appears in the text. Fielding, himself, admitted this regrettable outcome:
To some extent, people get REST wrong because I failed to include enough detail on media type design within my dissertation.
since so little was initially written about the details of hypermedia, Web frameworks have (to date) simply ignored this constraint.
not long ago, Fielding provided additional information on the use of hypermedia as an architectrual element and this has, in part, spurred renewed interest in hypermedia as a method for implementing Web solutions. however, i have yet to find a Web framework that elevates hypermedia as a "first-class" element the way URI-construction is a first class element. hopefully, additional research will encourage product improvements and we'll soon see real hypermedia development enviroments become available.
when you reduce it down, there are only a small set of Fielding Constraints that directly apply to the typical "coding" space: Stateless and Uniform Interface. and, of those two, it is the sub-constraints of Uniform Interface which we most deal w/ when building real live apps for the Web. so far, frameworks (IMO) over-constrain the use of identifiers (URIs), fall short on supporting representation abstractions, and completely ignore the use of hypermedia.
it's not only my hope but one of my goals that development environments will continue to evolve and improve in order to make it easier to build powerful hypermedia applications for the Web. and i see some encouraging signs from both the Rails and Microsoft WebAPI communities in this regard.
and i suspect i'm not the only one!